The Lockheed Martin Sikorsky RAIDER X (in the back) provides overwatch for the Lockheed Martin Sikorsky-Boeing DEFIANT X in this rendering of a M-777 artillery external lift mission. Lockheed Martin concept art
Sikorsky Exploring Ways to Link Next-Gen Helicopters to F-35
It’s part of Lockheed’s push to network all of its weapons.
Lockheed Martin is exploring ways to connect Sikorsky’s next-generation helicopters with combat jets, including the F-35 fighter.
== Misplaced data records ==
# 1
A geometry-optimized ThFe4Ni structure. Source: the Materials Project, functional PBE.

Properties
**Spin magnetization**: 9.137 μB per formula unit
**Symmetry**: P-6m2 (187)
**Energy of formation**: -94 meV/atom

a b c (Å): 5.0266 5.0266 4.1176
angles (deg): 90.00 90.00 120.00
Closest atoms and distances in Å follow each position.
Positions (direct):
Th  0.0000  0.0000  0.0000  15 Fe 2.90-3.25, 3 Ni 2.90
Fe  0.5014  0.0028  0.5000  6 Fe 2.49-2.53, 2 Ni 2.53
Fe  0.5014  0.4986  0.5000  6 Fe 2.49-2.53, 2 Ni 2.53
Fe  0.6667  0.3333  0.0000  6 Fe 2.51
Fe  0.9972  0.4986  0.5000  6 Fe 2.49-2.53, 2 Ni 2.53
Ni  0.3333  0.6667  0.0000  6 Fe 2.53


# 2
A geometry-optimized Th2Fe5Ni5 structure. Source: the Materials Project, functional PBE.

Properties
**Spin magnetization**: 12.829 μB per formula unit
**Symmetry**: Pmmm (47)
**Energy of formation**: -189 meV/atom

a b c (Å): 3.9924 5.0429 8.6413
angles (deg): 90.00 90.00 90.00
Closest atoms and distances in Å follow each position.
Positions (direct):
Th  0.0000  0.0000  0.0000  10 Fe 2.87-3.22, 8 Ni 3.20
Th  0.0000  0.5000  0.5000  6 Fe 2.91-2.92, 12 Ni 3.20-3.22
Fe  0.0000  0.0000  0.3326  6 Ni 2.46-2.47
Fe  0.0000  0.0000  0.6674  6 Ni 2.46-2.47
Fe  0.0000  0.5000  0.1620  2 Fe 2.44, 4 Ni 2.49
Fe  0.0000  0.5000  0.8380  2 Fe 2.44, 4 Ni 2.49
Fe  0.5000  0.5000  0.0000  4 Fe 2.44, 4 Ni 2.51
Ni  0.5000  0.0000  0.5000  4 Fe 2.47, 4 Ni 2.49
Ni  0.5000  0.2480  0.2502  5 Fe 2.46-2.51, 3 Ni 2.49-2.54
Ni  0.5000  0.2480  0.7498  5 Fe 2.46-2.51, 3 Ni 2.49-2.54
Ni  0.5000  0.7520  0.2502  5 Fe 2.46-2.51, 3 Ni 2.49-2.54
Ni  0.5000  0.7520  0.7498  5 Fe 2.46-2.51, 3 Ni 2.49-2.54


# 3
A geometry-optimized V6FeNi structure. Source: the Materials Project, functional PBE.

Properties
**Symmetry**: Pm-3 (200)
**Energy of formation**: -171 meV/atom

a b c (Å): 4.6666 4.6666 4.6666
angles (deg): 90.00 90.00 90.00
Closest atoms and distances in Å follow each position.
Positions (direct):
V  0.0000  0.2477  0.5000  2 V 2.31-2.35
V  0.0000  0.7523  0.5000  2 V 2.31-2.35
V  0.2477  0.5000  0.0000  2 V 2.31-2.35
V  0.5000  0.0000  0.2477  2 V 2.31-2.35
V  0.5000  0.0000  0.7523  2 V 2.31-2.35
V  0.7523  0.5000  0.0000  2 V 2.31-2.35
Fe  0.0000  0.0000  0.0000  12 V 2.60
Ni  0.5000  0.5000  0.5000  12 V 2.61


# 4
A geometry-optimized YFeNi4 structure. Source: the Materials Project, functional PBE.

Properties
**Spin magnetization**: 4.028 μB per formula unit
**Symmetry**: P-6m2 (187)
**Energy of formation**: -245 meV/atom

a b c (Å): 4.9492 4.9492 3.9244
angles (deg): 90.00 90.00 120.00
Closest atoms and distances in Å follow each position.
Positions (direct):
Y  0.0000  0.0000  0.0000  3 Fe 2.86, 15 Ni 2.86-3.16
Fe  0.3333  0.6667  0.0000  6 Ni 2.43
Ni  0.5004  0.0008  0.5000  6 Ni 2.43-2.48, 2 Fe 2.43
Ni  0.5004  0.4996  0.5000  6 Ni 2.43-2.48, 2 Fe 2.43
Ni  0.6667  0.3333  0.0000  6 Ni 2.43
Ni  0.9992  0.4996  0.5000  6 Ni 2.43-2.48, 2 Fe 2.43


# 5
The move is part of the company’s increased emphasis on networking all of the weapons it builds, which is running in parallel to a number of Pentagon initiatives to link all of its weapons on the battlefield.
“In everything that Sikorsky does going forward, we're thinking about how to network our platforms into the battle space more than we ever have in the past,” Paul Lemmo, the president of Lockheed’s helicopter division, said in a recent interview.
Sikorsky is developing two next-generation helicopters, the Raider X and the Defiant X, which it is building with Boeing. The company is pitching the aircraft in the separate “Future Vertical Lift” competitions to replace the OH-58 Kiowa Warrior and the UH-60 Black Hawk. Bell is competing against Sikorsky in each contest.
Sikorsky is planning to equip a Black Hawk helicopter with special communications equipment that could be used on next-generation aircraft it is developing for the Army. The Black Hawk is expected to fly during upcoming “Project Convergence” exercises.
“We'll take a Black Hawk and we'll have it act as a surrogate for one of the [Future Vertical Lift] platforms,” Lemmo said. “But it'll have the capability, the appropriate radio, the software, whatever to do that networking, to pass that information to an F-35.”
Many weapons across the military have different types of “datalinks,” which are essentially modems that transfer information. In some cases, the datalinks are so unique that weapons made by the same company cannot connect to one another. Take for instance the F-22 and the F-35, stealth fighters made by Lockheed Martin. Earlier this year during a military experiment, the planes were able to pass data to one another for the first time. But the jets needed a U-2 spy plane equipped with a special translation “gateway” to receive the data from one plane and then pass it along to the other.
Even though Sikorsky’s Defiant is considered a troop carrier, likely without offensive weapons, the company envisions it “being much more connected” and “being able to give and receive real-time information on the battlefield,” Lemmo said.
The Pentagon in recent years has put a premium on connecting weapons across the battlefield, regardless of military branch or the manufacturer. It would allow commanders to get quicker access to intelligence and make decisions faster than enemies. This is particularly the case in the Pacific where military assets could be thousands of miles apart.
“If you think about the INDOPACOM region, they're going to have to be much more networked than [they] are capable [of] today,” Lemmo said.
Jim Taiclet, who became CEO of Lockheed last year after two decades in the telecommunications sector, has made connecting the company’s weapons among his top priorities. He has been forging partnerships with commercial network and technology firms across the United States.
“We’ve been holding CEO-level summits with semiconductor companies, distributed cloud-computing companies, mobile phone operators, and network and computer companies to figure out how we can be more like them and how we can get them on our team,” Taiclet said last week during a discussion at the Center for Strategic and International Studies.
Lockheed is establishing “architecture,” Taiclet said.
'''
No. 1
Material: Ba3Np
Method: DFT, PBE-GGA
State: relaxed

* symmetry: Fm-3m, No. 225
* raw total energy: -3.996 eV/atom
* DFT formation energy: 2.7 eV per formula unit
* total magnetization: 5.0 μB/f.u.

Cell: 6.811 6.811 6.811 Å, 60.00 60.00 60.00°
Fractional coordinates of all 4 atoms:
Ba: 0.000 0.000 0.000
Ba: 0.250 0.250 0.250
Ba: 0.750 0.750 0.750
Np: 0.500 0.500 0.500

***

No. 2
Material: Li2FeS2
Method: DFT, PBE-GGA
State: relaxed

* excess energy over the best structure of this formula in the dataset: 0.71 eV per formula unit
* symmetry: P2_1/c, No. 14
* raw total energy: -4.858 eV/atom
* energy with MP2020 corrections: -5.059 eV per atom
* DFT formation energy: -4.7 eV per formula unit
* total magnetization: 3.5 μB/f.u.

Cell: 3.376 8.389 6.209 Å, 90.00 108.40 90.00°
Fractional coordinates of all 10 atoms:
Li: 0.192 0.152 0.458
Li: 0.192 0.348 0.958
Li: 0.808 0.652 0.042
Li: 0.808 0.848 0.542
Fe: 0.500 0.000 0.000
Fe: 0.500 0.500 0.500
S: 0.131 0.601 0.738
S: 0.131 0.899 0.238
S: 0.869 0.101 0.762
S: 0.869 0.399 0.262

***

What is the DFT formation energy in the second record? -4.7 eV per formula unit

***

What is the DFT formation energy in the first record? 2.7 eV per formula unit

=====

P:
Density functional theory data (PBE) for a geometry-optimized OsO2F4 structure.

Cell lengths 9.5236, 9.5236, 11.7835 Å; angles 90.00, 90.00, 120.00 degrees
With the nearest neighbours (Å) after each atom.
Space group P6_1 (No. 169)
Asymmetric unit:
Os 0.0099 0.5317 0.0000 (multiplicity 6)  2 O 1.71-1.72, 2 F 1.89
O 0.0217 0.5746 0.1423 (multiplicity 6)  1 Os 1.72
O 0.1892 0.6143 0.4860 (multiplicity 6)  1 Os 1.71
F 0.0112 0.2837 0.4752 (multiplicity 6)  1 Os 1.89
F 0.0401 0.5570 0.8387 (multiplicity 6)  1 Os 1.92
F 0.0572 0.3612 0.0009 (multiplicity 6)  1 Os 1.89
F 0.2434 0.6534 0.9918 (multiplicity 6)  1 Os 1.93

The volume is 22.0 A^3/atom. As for the magnetization: 0.00 Bohr magnetons per cell.


Q:
Density functional theory data (PBE) for a geometry-optimized OsO2F4 structure.

Cell lengths 5.0212, 5.0212, 27.8725 Å; angles 90.00, 90.00, 120.00 degrees
With the nearest neighbours (Å) after each atom.
Space group P6_1 (No. 169)
Asymmetric unit:
Os 0.0097 0.4653 0.0000 (multiplicity 6)  2 O 1.71-1.72, 2 F 1.88
O 0.1798 0.7368 0.7055 (multiplicity 6)  1 Os 1.72
O 0.2568 0.7388 0.9605 (multiplicity 6)  1 Os 1.71
F 0.0391 0.2555 0.5386 (multiplicity 6)  1 Os 1.88
F 0.0442 0.8648 0.4615 (multiplicity 6)  1 Os 1.88
F 0.1494 0.4785 0.8702 (multiplicity 6)  1 Os 1.94
F 0.2272 0.6619 0.1316 (multiplicity 6)  1 Os 1.94

The volume is 14.5 A^3/atom. As for the magnetization: 0.00 Bohr magnetons per cell.


According to the calculations, the structures order from most to least stable as Q, P.

=====

VASP calculation (PBE-GGA) on an optimized crystal structure of Y2Bi2O7.

Cell: 7.7340 7.7340 7.7340 Å, 60.00 60.00 60.00°
Positions (direct):
Y: 0.6250 0.1250 0.6250
Y: 0.6250 0.6250 0.1250
Y: 0.1250 0.6250 0.6250
Y: 0.6250 0.6250 0.6250
'''
“We’re going to start with Lockheed Martin platforms because we have immediate access to the mission computers and systems,” he said. “But we do want to bring in our industry peers along with us to be able to accelerate the road map for all the OEMs, for all the companies that we can help our customers with.”